Posted October. 17, 2005 06:38,
Starting in 2008, the government plans to allow middle-income families making approximately four million won a month to receive a government subsidy amounting to 30 percent of their child care spending every month.
(Calculated molecules that have nothing to do with the article)
=====
# 1
DFT (ωB97M-V with the def2-TZVPD basis set) results for a 7-piece molecular cluster, H14O7 overall in a non-equilibrium geometry.

CARTESIAN COORDINATES (ANGSTROEM)
H 1.0784 -1.0152 0.0797
H 1.3773 0.4099 -0.3185
H -1.7244 3.4384 -0.8119
H -2.8891 4.0412 -0.0447
H -1.4654 -0.8151 2.5844
H -2.5256 -1.4351 1.7063
H 1.8094 0.0546 1.8369
H 1.7385 1.4192 1.5198
H 5.6648 -0.3398 -1.8213
H 5.2396 0.1213 -0.4120
H -3.3270 -3.0857 -0.1824
H -2.3423 -3.4614 -1.4903
H -1.5843 0.5744 -1.7040
H -0.9946 0.5374 -0.3867
O 1.7615 -0.2822 0.2375
O -2.5005 4.0055 -0.9845
O -1.8424 -0.6811 1.6918
O 1.1733 0.6728 1.6525
O 5.3557 -0.6591 -0.9523
O -3.1674 -3.6300 -1.0048
O -0.8354 0.1299 -1.1955

Values from the calculation:
* relative energy (zero: lowest compared OMol25 entry of this formula, charge and spin): 5.9738 eV
* orbital gap: 7.90 eV
* energy: -14555.4876 eV

***

# 2
DFT (ωB97M-V with the def2-TZVPD basis set) results for a 7-piece molecular cluster, H14O7 overall.

CARTESIAN COORDINATES (ANGSTROEM)
O 1.6273 -0.0352 5.5309
H 2.0876 0.2705 4.7494
H 1.0189 -0.6993 5.2068
O 3.2878 1.6987 1.3568
H 4.0863 1.6316 1.8804
H 3.2326 2.6248 1.1210
O -4.9069 -3.0718 -0.1446
H -4.3335 -2.5994 -0.7482
H -4.3725 -3.7990 0.1746
O -0.0225 -0.6912 -0.4913
H -0.3914 0.0318 -0.9986
H 0.7071 -0.2997 -0.0111
O -1.0949 3.6027 -1.8958
H -1.7054 3.9380 -2.5524
H -0.2370 3.6544 -2.3172
O -0.1298 1.6770 -6.3596
H 0.2732 1.0534 -6.9638
H 0.5998 2.0119 -5.8383
O 0.2990 -3.5677 3.0826
H -0.2001 -4.3715 2.9375
H 0.1744 -3.0598 2.2809

Values from the calculation:
* relative energy (zero: lowest compared OMol25 entry of this formula, charge and spin): 2.2181 eV
* orbital gap: 11.45 eV
* energy: -14559.2433 eV

***

# 3
DFT (ωB97M-V with the def2-TZVPD basis set) results for a 7-piece molecular cluster, H14O7 overall.

CARTESIAN COORDINATES (ANGSTROEM)
O 2.3131 0.5111 1.5795
H 2.5448 1.0845 2.3163
H 3.1525 0.1971 1.2082
O 2.0416 0.7914 -1.5714
H 1.9226 1.6371 -2.0134
H 1.1783 0.5865 -1.1714
O 0.0002 -0.2898 0.1475
H -0.8124 -0.0791 0.6305
H 0.7251 0.0318 0.7241
O 3.8778 -0.7560 -0.0956
H 4.4848 -1.0322 -0.7879
H 3.2000 -0.2321 -0.5607
O -2.4090 -0.1964 1.8404
H -2.1194 -1.1179 1.8983
H -3.0487 -0.0871 2.5534
O -1.4871 -0.5915 -2.3242
H -0.7663 -0.8113 -1.7156
H -1.9976 -1.4017 -2.4173
O -4.2632 0.7894 -0.4155
H -3.5033 0.4831 0.1027
H -5.0340 0.4831 0.0724

Values from the calculation:
* relative energy (zero: lowest compared OMol25 entry of this formula, charge and spin): 1.1641 eV
* orbital gap: 11.02 eV
* energy: -14560.2973 eV

***

# 4
DFT (ωB97M-V with the def2-TZVPD basis set) results for a 7-piece molecular cluster, H14O7 overall in a non-equilibrium geometry.

CARTESIAN COORDINATES (ANGSTROEM)
O -5.4369 -10.0319 5.1344
H -5.5115 -9.3895 4.4287
H -5.8497 -10.8216 4.7848
O -6.1360 -8.0241 10.2157
H -5.5406 -7.8966 9.4771
H -6.6544 -8.7923 9.9762
O -1.2383 -9.6257 5.6040
H -1.6403 -9.7316 6.4662
H -0.2993 -9.5724 5.7819
O -3.4997 -9.8936 7.3719
H -3.7122 -8.9890 7.6015
=====
Child care facilities for five hours a day or more for infants and toddlers under the age of five are expected to become eligible for government subsidies, in addition to the autonomy to decide their child care charges, in 2007.
According to Comprehensive Measures against the Declining Birth Rate, which Dong-A Ilbo obtained in an exclusive, the government plans to invest seven trillion won in 18 different projects beginning next year until 2009. They include offering child care grants, assisting infertile couples, offering paid maternity leaves and expanding child-care centers at work.
The government is currently reviewing an option to impose an additional tax, called the Birth Promotion Tax, which is expected to bring the government two trillion won, to finance projects concerned.
The new measure was devised by eight government agencies including the Ministry of Planning and Budget, the Ministry of Health and Welfare, and the Ministry of Gender Equality and Family. After consulting with experts, parties and administrators, the government plans to announce the finalized measure officially at the end of December.
Molecular data, kept here for reference.
........
Entry 1:
ORCA calculation (ωB97M-V/def2-TZVPD) on one molecule with the formula C4H8O3.

Cartesian coordinates (Å):
1 C -1.73 0.95 -0.43
2 C -0.24 0.61 -0.55
3 O 0.50 1.35 0.41
4 C 0.02 -0.89 -0.42
5 O 1.43 -1.16 -0.35
6 C 1.99 -1.07 0.85
7 O 1.42 -0.83 1.89
8 H -2.19 1.28 -1.37
9 H -1.73 1.78 0.28
10 H -2.33 0.13 -0.02
11 H 0.16 0.95 -1.52
12 H 0.43 0.90 1.26
13 H -0.34 -1.44 -1.29
14 H -0.46 -1.28 0.48
15 H 3.06 -1.28 0.78

Properties
SMILES = C[C@@H](O)COC=O
frontier orbital gap = 0.4156 Ha
energy relative to the best compared isomer or geometry (same formula, charge and spin) = 24.6 kcal/mol
E_tot = -10419.9348 eV

---

Entry 2:
ORCA calculation (ωB97M-V/def2-TZVPD) on one molecule with the formula C10H19P in a non-equilibrium geometry.

Cartesian coordinates (Å):
1 C -0.65 -1.21 -2.22
2 C -0.55 -1.00 -0.72
3 C -0.84 -1.94 0.13
4 C -0.71 -1.70 1.58
5 C -0.24 -0.20 1.58
6 C -0.29 0.33 0.10
7 C -1.35 1.39 -0.05
8 P -3.01 0.71 0.11
9 C 1.04 0.84 -0.40
10 C 1.44 2.22 0.21
11 C 2.11 -0.28 -0.20
12 H -1.79 -1.20 -2.50
13 H -0.12 -2.21 -2.35
14 H -0.03 -0.35 -2.63
15 H -1.05 -3.03 -0.31
16 H -1.57 -1.83 2.19
17 H -0.01 -2.26 2.03
18 H -0.88 0.26 2.21
19 H 0.77 0.10 1.98
20 H -1.40 1.93 -1.00
21 H -1.07 2.12 0.68
22 H -2.82 -0.52 0.86
23 H -2.60 0.00 -1.00
24 H 0.88 1.09 -1.51
25 H 1.47 2.02 1.38
26 H 0.67 2.89 -0.01
27 H 2.50 2.57 -0.12
28 H 1.70 -0.82 0.70
29 H 3.05 0.10 0.20
30 H 2.22 -1.12 -1.02

Properties
SMILES = CC1=CCC[C@@]1(CP)C(C)C
frontier orbital gap = 0.3621 Ha
energy relative to the best compared isomer or geometry (same formula, charge and spin) = 28.8 kcal/mol
E_tot = -19963.7934 eV

---

Entry 3:
ORCA calculation (ωB97M-V/def2-TZVPD) on one molecule with the formula C2H4Cl2N6 in a non-equilibrium geometry.

Cartesian coordinates (Å):
1 N 0.54 -1.81 0.22
2 C 0.87 -0.51 0.25
3 N 2.01 -0.29 0.86
4 Cl 2.75 1.28 0.43
5 N 0.15 0.48 -0.42
6 N -1.06 0.07 -0.67
7 C -1.76 0.92 -1.53
8 N -1.10 1.63 -2.42
9 N -3.00 0.69 -1.88
10 Cl -3.80 -0.57 -0.88
11 H -0.02 -2.10 -0.51
12 H 1.40 -2.32 0.37
13 H -1.66 2.05 -3.18
14 H -0.15 1.30 -2.51

Properties
SMILES = NC(=N/Cl)/N=N/C(N)=N\Cl
frontier orbital gap = 0.2605 Ha
energy relative to the best compared isomer or geometry (same formula, charge and spin) = 27.6 kcal/mol
E_tot = -36119.9360 eV

---

Entry 4:
ORCA calculation (ωB97M-V/def2-TZVPD) on a 5-piece molecular cluster, CH10O5 overall in a non-equilibrium geometry.

Cartesian coordinates (Å):
1 C 2.27 2.68 -3.20
2 O 2.12 3.19 -4.40
3 H 3.34 2.57 -2.96
4 H 1.45 2.33 -2.56
5 O -0.80 1.24 0.91
6 H -1.31 1.04 0.07
7 H 0.10 1.26 0.72
8 O -1.20 -1.28 3.66
9 H -1.13 -0.88 2.89
10 H -0.40 -1.17 4.23
11 O 0.79 -2.11 0.66
12 H 0.52 -2.99 0.94
13 H 1.76 -2.45 0.35
14 O -2.52 -2.39 0.78
15 H -3.09 -3.08 1.15
16 H -2.01 -1.85 1.51

Properties
SMILES = C=O.O.O.O.O
frontier orbital gap = 0.3891 Ha
energy relative to the best compared isomer or geometry (same formula, charge and spin) = 53.1 kcal/mol
E_tot = -11434.1740 eV

* * * * *
........
According to the comprehensive measure, families who earn less than 130 percent of the average income of urban working families, or 4.04 million won a month, will receive 30 percent of the standard child care cost set by the government every month, beginning in 2008.
Given that the current average income of an urban working family is 3.11 million won and the standard child care cost for a child aged between three and five is 153,000 won, a family with a monthly income of 4.04 million won will receive 45,900 won every month. The less the family earns, the more child-care subsidy it will receive.
Furthermore, a new system called a differential child care subsidy will be introduced to child-care centers. Facilities which provide child-care services for more than five hours a day will receive subsidies in proportion to the duration of the child care they provide, while private kindergartens and half-day child care centers, which offer services for less than five hours a day, will not be eligible for the subsidy.
In an effort to promote the pregnancy of infertile couples on welfare, the government will provide each couple with 2.55 million won for each operation, or up to 5.1 million won, to help them pay for their infertility treatments.
The wages offered by the Employment Insurance Fund to female workers on child-care leave will also be raised from the current 400,000 won a month to 500,000 won a month in 2007.
Moreover, grants provided to regional child-care centers, which take charge of after-school activities for children of low-income families, will be increased from the current two million won to four million won in 2007.
In order to boost the birth rate, the government plans to divert central government budget money amounting to 1.2 trillion won to these projects next year, and expand the budget up to 2.1 trillion won in 2009.
The Ministry of Finance and Economy and the Ministry of Planning and Budget estimated that more than one trillion won is needed to finance the projects.
As a last resort, the Ministry of Finance and Economy is considering issuing additional national bonds or raising tax rates to make up the shortfall.
Analysts agreed on the need of measures to boost the birth rate. But they emphasize that a more careful approach needs to be taken to prevent the budget from being wasted, especially because financing is not easy these days.
Hyun Jin-gwon, an economics professor at Aju University, said, It is hard to expect the quality of child care to improve if the government insists on handing out subsidies while prohibiting private companies from building child-care centers. This measure doesnt respect the importance of the competition.